Jason Shepherd is an Associate Professor in the Department of Neurobiology and holds the Jon M. Huntsman Presidential Chair at the University of Utah. He obtained his BSc (Hons) at the University of Otago, his Ph.D. at the Johns Hopkins School of Medicine and postdoctoral training at the Massachusetts Institute of Technology. He is the recipient of the Peter and Patricia Gruber International Research Award in Neuroscience, the International Society for Neurochemistry Young Investigator Award, the Chan Zuckerberg Initiative Ben Barres Early Career Acceleration Award, the Research to Prevent Blindness Stein Innovation Award, the NIH Director’s Transformative Research Award, and is a National Academy of Sciences Kavli Fellow.
What do you think of how peer review works at NIH?
For a regular R01, the system is selecting for conservative science. It’s not selecting for innovation. Part of that is because of the constraint on funding and the paylines. And so the system has evolved into a requirement that you have enough preliminary data for all your aims to convince your reviewers that it’s going to work. So you can’t take risks, because they will ding you for aspects where you don’t have enough feasibility data.
That is the main issue with the regular R01 system.
The other aspect is stochasticity. You have 3 reviewers who delve deep into the grant, and the rest don’t really read the full proposal. The scores are based on those 3 reviews, and then it’s the luck of the draw as to who you get there.
Ultimately, we’re all human, and there is limited bandwidth for going through all these grants. The rest of the study section ends up being swayed by those initial reviews.
The other thing is it’s so slow. You submit a grant and it gets reviewed 4 or 5 months later.
How would you solve the problem of having only 3 main reviewers?
There are two aspects to solving this problem: One is to mandate that everyone reads the full proposal. The other is to limit the number of grants reviewed at that study section. So to do that, you’d have to have more study sections with more focus.
What do you think about funding “higher risk” research?
The NIH has played around with this a little bit. There are the so-called “high risk, high reward” grants, where reviewers are explicitly told that there is no preliminary data needed. It’s more about the idea and the track record.
In practice, however, I think it’s hard for reviewers to get out of that mentality of needing to see preliminary data.
My experience is that when I started my lab about 10 years ago, we made an initial observation that was kind of a crazy discovery. On one hand I was trying to juggle the traditional R01 with trying to pursue this unusual observation. Especially for early investigators, that first R01 is really critical, and it can be harshly judged because you don’t have enough of a track record to play the grantsmanship game. I ended up resubmitting the same R01 four times, and by the time it got funded, it was so boring that I didn’t even want to do the experiments.
But I kept pursuing the unusual idea, and I wasn’t able to get funding until I published a paper on the work.
I do think that this lack of creativity is an issue, especially for people starting a lab. You may have startup funding that isn’t restricted to a particular topic, but you still need to be conservative in your research so that you’re prepared for future R01 submissions.
The regular R01s are reviewed for the project. NIGMS has the MIRA award that is more about the person rather than the project. Reviewers can’t be as nitpicky about whether the preliminary data is good enough. That seems like a useful approach.
How are we doing with funding basic science?
Basic science is hard to sell. But translational neuroscience has not led to breakthrough therapeutics. It’s often some surprising finding or just trial and error that leads to therapeutics. So my bias is that we often don’t know when discovery is going to happen. I’m not even sure NIH should fund major clinical trials itself. It’s arguably not NIH’s expertise to bring something to the clinic.
# 1
Formula: C36H48BBrF15N4O12S
Source: OMol25
Level of theory: ωB97M-V/def2-TZVPD

Results
Charge: +1
Frontier orbital gap in eV: 8.4

Cartesian coordinates (Å):
C 4.38025 -2.09876 2.69679
C 3.87062 -1.60710 1.72649
C 3.46808 -0.71739 0.65207
C 4.34518 -0.52829 -0.39461
N 3.64113 0.31350 -1.22834
C 4.23945 0.73628 -2.52114
C 5.33705 -0.21512 -3.04728
C 5.30901 -0.12985 -4.60830
C 4.19641 -1.04781 -5.17895
S 4.56530 -2.84012 -4.96483
C 3.62946 -3.36388 -3.57711
N 2.48298 -4.00766 -3.57388
N 2.06809 -4.25124 -2.32266
C 2.98160 -3.74057 -1.52026
O 3.94866 -3.21514 -2.25148
C 2.44968 0.63733 -0.70986
B 1.39934 1.60833 -1.43880
O 1.88901 2.51151 -2.37875
C -0.14192 1.62430 -1.13023
C -0.82135 0.20333 -1.06292
N 2.31628 -0.00478 0.49396
C 1.15997 0.02413 1.40848
C 1.53467 0.01427 2.91672
C 1.18811 -1.40039 3.48836
Br -0.76896 -1.47743 3.69855
H 4.86128 -2.47547 3.58504
H 5.33095 -0.95993 -0.51098
H 4.62525 1.75753 -2.37218
H 3.43317 0.79005 -3.26427
H 5.17283 -1.27360 -2.80287
H 6.31309 0.11109 -2.65733
H 6.29852 -0.35052 -5.03375
H 5.07701 0.91513 -4.88708
H 3.27075 -0.87198 -4.60287
H 4.02097 -0.85461 -6.24712
H 2.93449 -3.77375 -0.43656
H 1.59239 2.26931 -3.26740
H -0.71138 2.24812 -1.83628
H -0.28014 2.11181 -0.14167
H -0.12214 -0.63364 -0.92686
H -1.49293 0.06522 -1.92205
H -1.48967 0.19949 -0.18493
H 0.53590 0.90871 1.22986
H 0.51689 -0.83584 1.16402
H 0.96805 0.78251 3.46205
H 2.60118 0.22883 3.09764
H 1.41872 -2.11093 2.68397
H 1.71985 -1.62584 4.41746
C -7.08248 0.72704 3.24254
C -5.71780 1.38262 3.23079
O -5.11832 1.28027 1.92226
C -5.49723 2.20621 1.04947
O -6.27725 3.08731 1.26562
C -4.75085 2.01483 -0.27410
F -4.69698 0.72717 -0.64102
F -3.48136 2.45319 -0.17486
F -5.32188 2.68478 -1.27223
H -7.01268 -0.30663 2.89962
H -7.50303 0.73735 4.24699
H -7.77207 1.24225 2.57275
H -5.05719 0.86717 3.91327
H -5.76825 2.42349 3.54957
C -1.95604 -1.59433 9.33841
C -3.05910 -2.24201 8.52914
O -4.04705 -1.26884 8.13958
C -3.77477 -0.56043 7.05249
O -2.78126 -0.67385 6.39187
C -4.95067 0.38485 6.76510
F -5.39411 0.97057 7.88095
F -5.98746 -0.28085 6.23053
F -4.64140 1.37042 5.91182
H -2.37228 -1.06313 10.19543
H -1.25352 -2.34608 9.69732
H -1.40803 -0.86405 8.74184
H -3.58157 -2.98029 9.13477
H -2.66516 -2.76001 7.65480
C 0.68194 -6.43781 -7.28092
C 2.04395 -5.79580 -7.12804
O 2.81332 -5.93264 -8.33688
C 2.58203 -5.02551 -9.27988
O 1.79988 -4.12461 -9.19985
C 3.50417 -5.26974 -10.48028
F 3.57708 -6.56714 -10.80065
F 4.75412 -4.85340 -10.21450
F 3.08801 -4.61566 -11.56317
H 0.78300 -7.47933 -7.58979
H 0.13405 -6.40039 -6.33957
H 0.09274 -5.93122 -8.04607
H 2.60590 -6.30413 -6.34609
H 1.96406 -4.74793 -6.83905
C 9.60470 2.32487 3.71004
C 8.23374 2.41029 3.07470
O 7.32497 1.47337 3.68685
C 6.74334 1.87995 4.81353
O 6.91343 2.93552 5.34101
C 5.77611 0.80496 5.32202
F 6.29783 -0.43068 5.24682
F 4.63378 0.78835 4.60260
F 5.42909 0.99921 6.58888
H 9.98068 1.30136 3.67205
H 10.30732 2.97759 3.19287
H 9.56950 2.61640 4.75992
H 8.29266 2.13453 2.02256
Is it possible that some of the “best and brightest” are driven out of science because they are drawn to important problems where it isn’t simple to churn out publication after publication?
That’s sort of what I was getting at. Early on in my career, I was willing to fail at the traditional R01 to pursue my more creative/unusual idea. Ultimately I’m still sitting here because it ended up working out, but I’m sure that for some folks, it doesn’t.
For a lot of people, the R01 and tenure become the goal, rather than the science.
Are progress reports useful?
In my experience, no. I’ve never ever had a program officer write to me and say, “I don’t like this new direction.” In fact, I’ve never had any feedback, positive or negative.
On Twitter, I saw a poll that asked about whether you would put figures in your progress report. Half the people said no, but I thought everyone did! Clearly there’s not a standard format. I remember panicking about this on my first R01, but it didn’t matter.
Once you have the money, you can be creative with it, if you want to take the chance. That is, once you get a grant, no one is really going to care that you answered Aim 1-5. They’ll be impressed if you publish something, and no one checks whether it matches the original line item 10 from the grant.
I could see progress reports being useful for different mechanisms, such as a U01 where you have actual milestones.
Is there anything else should NIH do differently?
Once people get on a study section, they’re doing their best to be diligent and do a good job. Something that is frustrating for folks is that only half of the grants actually get discussed, and hopefully when they are discussed, the reviewers give them a fair chance. When it’s not discussed, it’s really only the 3 reviewers who give feedback. Lots of opportunity for someone to be wrong. If there are discrepant preliminary scores, that’s when it SHOULD be discussed, because that’s when you want to make sure mistakes aren’t being made.
The other thing – you have these criterion scores based on categories like significance, and that’s what you see, but you don’t see the overall score that people give. Oftentimes the overall score isn’t the average of those criterion scores. There’s only two categories that drive the overall score – Approach and Significance. NIH is trying to look at this to figure out how to improve it.
Mario Capecchi always talks about the fact that he could never get his work on transgenic mice funded by NIH, because they didn’t think it was possible. That’s another example where someone didn’t give up, but used other funds to keep chugging away on that problem, and then solved it and launched a whole field.
We should find more ways to reward that kind of creativity.
In the past few years, are there any papers you wish you could have published?
This is probably my favorite paper in the past five years: Moore et al., “The role of the Cer1 transposon in horizontal transfer of transgenerational memory,” Cell (Aug. 6, 2021).